Super Sound
a Zappa: Frank, padre delle "madri inventrici" (The Mothers
of invention). Questo gruppo ha suonato per primo musica elettronica,
ha adottato per primo amplificatori e strumenti elettrici, ha
fatto per primo l'underground. I Beatles e i Rolling Stones
si attaccarono non poco al latte di tali madri prolifere. In
definitiva soltanto la zappa di Frank Zappa comincio a dissodare
il terreno arido della musica tradizionalista.
Automatic translation:
Zappa's hoeing: Frank, father of the "inventive mothers" (The
Mothers of invention). This group was the first to play electronic
music, they were the first to adopt amps and electric instruments,
they were the first to go underground. The Beatles and the Rolling
Stones became attached to the milk of such prolific mothers.
Ultimately only Frank Zappa's hoe begins to clear the arid soil
of traditionalist music.
Source: Fulvio Fiore
Automatic translation: The wording "Hot Rats" in the title is not accidental,
as the new album is linked to the work of '69 in the polychromy
of the compositions, in the elaborate construction of the sound
mixture. However, we can consider the album's main source of
inspiration that "Holiday in Berlin", which appeared for the
first time on "Burnt Weeny Sandwich" and later used as an overture
for "200 Motels". (read
Source: Fulvio Fiore
Automatic translation: There is absolutely no doubt that Frank Zappa is
going through a period of radical transformations. What strikes
the attentive listener the most, however, is the intelligence
with which he now knows how to reconnect to the musical discourses
addressed, carried out and implications in previous works. Sometimes
his simple annotations, at first sight banal or even jarring
in a general context, ultimately reveal their nature as references
to previous themes, as if they were active testimonies of a
past world in another with a very different aspect. Zappa, the
most delusional mind of the new American music, the greatest
mocking and joker king of music of his generation, who from
the top of his court derides with bitter irony the The whole
of America and with it all its "civilization", seemed to have
lately forgotten in his records that charge of diabolical sarcasm
that expressed its full potential through the fantastic characters
who came out of the twisted meanders of his brain. And now this
mind explodes again in what can be defined as one of the greatest
follies ever devised by a human person: the fantastic legend
of the "Grand Wazoo" that gives the album its title. (read
Source: Fulvio Fiore
Automatic translation: Continuing the work of revaluation of long-playing
which, although very valid from all points of view, did not
have the reception they deserved on the market, I will examine
this week a masterpiece that, needless to say, is the result
of the monstrous mind by Frank Vincent Zappa: «Lumpy Gravy».
(read more)
Source: Fulvio Fiore
1973 September 17
Vol. 2 No. 24
Zappa scrappa ma non si sfugge
By a. r., p 1
Il lavoro di Zappa
pp 14-15
Chi è Frank Zappa
- - -
No. 1
## MnSiSnIrS (GGA-PBE)

Data for crystalline MnSiSnIrS at its relaxed geometry.

Cell lengths 3.0079, 4.1365, 7.2506 Å; angles 76.31, 77.78, 68.65 degrees
Positions (direct):
S 0.6078 0.3474 0.6764
Ir 0.3201 0.5012 0.0873
Si 0.6599 0.9559 0.9557
Sn 0.9520 0.9906 0.3350
Mn 0.3201 0.9276 0.6723

## Properties
For the energy relative to the elements, uncorrected, the calculation gives -151 meV/atom. The spin magnetization is 0.0 Bohr magnetons per cell. The energy above the most stable polymorph in this dataset is 1.04 eV per formula unit. Its space-group type is P1.



No. 2
## Pm3BiTeN (GGA-PBE)

Data for crystalline Pm3BiTeN at its relaxed geometry.

Cell lengths 4.3001, 9.3741, 9.5004 Å; angles 96.52, 90.00, 90.00 degrees
Positions (direct):
Pm 0.7500 0.8922 0.1704
Pm 0.2500 0.1078 0.8296
Pm 0.2500 0.8546 0.4994
Pm 0.7500 0.1454 0.5006
Pm 0.7500 0.3890 0.1409
Pm 0.2500 0.6110 0.8591
Bi 0.2500 0.1577 0.1999
Bi 0.7500 0.8423 0.8001
Te 0.2500 0.6379 0.1883
Te 0.7500 0.3621 0.8117
N 0.2500 0.0880 0.5919
N 0.7500 0.9120 0.4081

## Properties
For the energy relative to the elements, uncorrected, the calculation gives -1182 meV/atom. The spin magnetization is 0.0 Bohr magnetons per cell. Its space-group type is P2_1/m.



No. 3
## Ir2RuPt (GGA-PBE)

Data for crystalline Ir2RuPt at its relaxed geometry.

Cell lengths 2.7441, 3.8683, 5.5187 Å; angles 90.00, 90.00, 90.00 degrees
Positions (direct):
Ru 0.5000 0.5000 0.7500
Ir 0.0000 0.0000 0.9900
Ir 0.0000 0.0000 0.5100
Pt 0.5000 0.5000 0.2500

## Properties
The spin magnetization is 0.0 Bohr magnetons per cell. The energy above the most stable polymorph in this dataset is 0.14 eV per formula unit. Its space-group type is Pmmm. The formation energy comes out at 0.0162 eV per atom.



No. 4
## HfCrAs2S (GGA-PBE)

Data for crystalline HfCrAs2S at its relaxed geometry.

Cell lengths 4.8366, 4.0321, 4.8366 Å; angles 90.00, 90.00, 90.00 degrees
Positions (direct):
Cr 0.0000 0.5000 0.0000
As 0.0000 0.0000 0.5000
As 0.5000 0.0000 0.0000
Hf 0.5000 0.5000 0.5000
S 0.0000 0.0000 0.0000

## Properties
For the energy relative to the elements, uncorrected, the calculation gives 481 meV/atom. The spin magnetization is 0.0 Bohr magnetons per cell. Its space-group type is P4/mmm.



No. 5
## In3HgN (GGA-PBE)

Data for crystalline In3HgN at its relaxed geometry.

Cell lengths 4.8347, 4.8347, 4.8347 Å; angles 90.00, 90.00, 90.00 degrees
Positions (direct):
N 0.0000 0.0000 0.0000
Hg 0.5000 0.5000 0.5000
In 0.0000 0.5000 0.0000
In 0.0000 0.0000 0.5000
In 0.5000 0.0000 0.0000

## Properties
For the energy relative to the elements, uncorrected, the calculation gives 432 meV/atom. The spin magnetization is 0.0 Bohr magnetons per cell. Its space-group type is Pm-3m.



No. 6
## Er2Te3 (GGA-PBE)

Data for crystalline Er2Te3 at its relaxed geometry.

Cell lengths 7.9226, 7.9226, 7.6473 Å; angles 107.57, 107.57, 114.66 degrees
Positions (direct):
Er 0.3312 0.6038 0.0935
Er 0.5103 0.2377 0.9065
Er 0.4877 0.2603 0.4065
- - -
## Back to the text
By Giovanni Pescatori
Le ultime Madri dell'Inventione
By Mauro Eusebi
Aspetti jazzistici nel clima zappiano
By Umberto Santucci
Acustica Palapop
By Luce De Orchi
Le opinioni dell'audience
By Sergio D'Alesio
had a gig in Palasport, Rome on August 31. The handwritten message
Between two parts of the article: crystal structures:
- - -
PBE Pm4GaGe3, optimized geometry; VASP energy = -42.426 eV per cell; size of the total moment = 0.312 μB per formula unit; V = 25.1 A^3/atom; ρ = 7.18 g/cm³; space-group type = No. 25
1.0
4.070 0.000 0.000
0.000 4.448 0.000
0.000 0.000 11.087
Pm Ga Ge
4 1 3
Direct
0.000 0.000 0.000
0.000 0.500 0.498
0.500 0.000 0.277
0.500 0.500 0.778
0.500 0.000 0.562
0.000 0.000 0.716
0.000 0.500 0.218
0.500 0.500 0.056


[1]
The following is a PBE-GGA calculation of an optimized crystal structure of KLi2SmI6, from Alexandria.

Lattice parameters (Å, degrees): 7.918 7.915 8.554 62.42 62.42 59.99
Sites, in units of the cell vectors:
I 0.909 0.599 0.235
I 0.743 0.157 0.751
Sm 0.323 0.323 0.031
I 0.258 0.908 0.235
I 0.598 0.258 0.235
Li 0.511 0.512 0.466
I 0.349 0.744 0.751
K 0.807 0.807 0.578
I 0.157 0.349 0.751
Li 0.006 0.006 0.982

Values from the calculation:
- Total magnetic moment: 0.00 μB/cell
- ΔE_f (raw): -1.309 eV/atom

[2]
The following is a PBE-GGA calculation of an optimized crystal structure of KLiSnI4, from Alexandria.

Lattice parameters (Å, degrees): 7.685 8.389 9.466 90.00 106.89 90.00
Sites, in units of the cell vectors:
K 0.786 0.750 0.951
I 0.002 0.999 0.725
I 0.520 0.250 0.398
K 0.214 0.250 0.049
I 0.480 0.750 0.602
Sn 0.216 0.250 0.548
I 0.002 0.501 0.725
I 0.528 0.250 0.845
I 0.998 0.499 0.275
Li 0.758 0.250 0.673
I 0.472 0.750 0.155
Sn 0.784 0.750 0.452
Li 0.242 0.750 0.327
I 0.998 0.001 0.275

Values from the calculation:
- Total magnetic moment: 0.00 μB/cell
- ΔE_f (raw): -0.941 eV/atom

[3]
The following is a PBE-GGA calculation of an optimized crystal structure of K2LiSnI6, from Alexandria.

Lattice parameters (Å, degrees): 8.164 8.474 11.619 90.00 90.19 90.00
Sites, in units of the cell vectors:
I 0.197 0.199 0.052
I 0.694 0.305 0.956
K 0.473 0.416 0.253
I 0.803 0.801 0.948
Li 0.500 0.000 0.500
I 0.600 0.012 0.253
I 0.697 0.301 0.552
Sn 0.000 0.500 0.500
I 0.900 0.512 0.247
Li 0.000 0.500 0.000
K 0.973 0.084 0.753
K 0.527 0.584 0.747
I 0.194 0.195 0.456
I 0.306 0.695 0.044
I 0.400 0.988 0.747
I 0.806 0.805 0.544
I 0.100 0.488 0.753
Sn 0.500 0.000 0.000
I 0.303 0.699 0.448
K 0.027 0.916 0.247

Values from the calculation:
- Total magnetic moment: 0.00 μB/cell
- ΔE_f (raw): -0.952 eV/atom

[4]
The following is a PBE-GGA calculation of an optimized crystal structure of K2LiSnI5, from Alexandria.

Lattice parameters (Å, degrees): 4.856 10.358 15.753 90.00 90.00 103.56
Sites, in units of the cell vectors:
Sn 0.462 0.924 0.438
Sn 0.538 0.076 0.938
I 0.920 0.839 0.551
I 0.474 0.949 0.758
I 0.665 0.331 0.847
I 0.727 0.455 0.163
I 0.273 0.545 0.663
K 0.902 0.803 0.174
K 0.845 0.690 0.821
I 0.080 0.161 0.051
Li 0.232 0.465 0.072
I 0.362 0.724 0.000
I 0.335 0.669 0.347
K 0.155 0.310 0.321
I 0.638 0.276 0.500
I 0.526 0.051 0.258
K 0.098 0.197 0.674
Li 0.768 0.535 0.572

Values from the calculation:
- Total magnetic moment: 0.00 μB/cell
- ΔE_f (raw): -1.039 eV/atom

[5]
- - -
So much for the crystal structures:
on the front page:
Aug. 31, 1973 A.D.
This concert in Rome was the best so far in our tour of Europe
and we'll be glad to come back soon to do it again. Thanks
to the great audience for making our first concert here such
a success.
Source: slime.oofytv.set
Automatic translation: Finally "Apostrophe" is released, the last 33 laps
(the seventeenth of the series) by the great Frank Zappa. From
the first listening we notice how this new work is the logical
continuation of the previous "Over-nite sensation", even if
this album, according to the cover, is a "solo" album by the
guitarist and not a new recording by the Mothers of Invention.
Here we find the main character of the new musical "turning
point" undertaken by the American genius, in fact right from
the first recordings, while now the lyrics occupy a lot of space
and do not allow the great soloists gathered in this album to
produce themselves in solo interventions. (read
1974 September 16
Vol. 3 No. 36
Frank Zappa il concerto
By Fabricio Cecca, p 9
L'ambiguità di Zappa
By Sergio D'Alesio, p 9